Child with headphones walking

The Welsh Government Children and Communities Grant (CCG) seeks to address the needs of the most vulnerable children, young people and adults in our society through a range of early intervention, prevention and support mechanisms.  The programmes within this grant aim to mitigate or remove disadvantage to vulnerable people to enable them to have the same life chances as others and contribute to a more equal Wales.

The CCG brings together the following eight programmes:

  • Childcare and Play (including Training and Support Programme)
  • Families First
  • Flying Start
  • Out of Court Parenting Support
  • Promoting Positive Engagement for Young People at Risk of Offending (PPE)
  • St David’s Day Fund
  • Playworks Holiday Project
  • Early Intervention Parenting Support Grant

The Children and Communities Grant supports local authorities to consider how to deliver the services they provide more strategically.  Flexibility within this grant can support and promote joint planning and commissioning to make more effective use of the funding in pursuit of the constituent programmes’ aims and objectives. There is an expectation that this extra freedom will allow a more strategic approach to delivering for the most vulnerable in society.

Case studies


Angelsey– Families First (2024)

Angelsey Flying Start-Chidcare (2024)

Angelsey Flying Start- SLT (2024)

Blaenau Gwent

Prior to Christmas, Families First, in conjunction with Blaenau Gwent 0-25 Disability Team, held three taster sessions for a new arts and crafts group, running at Rassau Resource Centre in Ebbw Vale for young adults with a disability, aged 16-25 years.

The group is facilitated by Chris Walters who is a local artist based in Blaenau Gwent with a wealth of knowledge and seemed the perfect fit for the job – Chris came highly recommended and goes above and beyond all expectations. Both Families First and the Disability Team support Chris with the sessions every week.

The gap in the service was identified and discussed at an ‘all things disability’ meeting – we then worked to bridge that gap and have luckily had a brilliant response to it. We have over 12 young people participating every week and we anticipate more joining the group in the weeks ahead.

As we hoped, we have had a lot of engagement from the local community and this engagement continues beyond the participants; we have had a few inquiries from people living in the local area who would like to volunteer – a post went out through GAVO explaining the new project and there are already very kind people offering their services and wanting to become involved – this process is on-going.

The aim of the group was to give these young adults a voice, independence, a purpose and the opportunity to learn new skills and make new friendships – it is absolutely paramount that services such as this exist to ensure that young adults with disabilities get their voices heard, are integrated within our local community, and that they feel valued, appreciated and inspired.

This group is funded until March 2022, but we are hoping and anticipating to work beyond this date to continue its brilliant success.

Blaenau Gwent- Case Study 1 (2024)

Blaenau Gwent- Case Study 2 (2024)

Blaenau Gwent- Case Study 3 (2024)

Blaenau Gwent- Case Study 4 (2024)

Blaenau Gwent- Case Study 5 (2024)

Blaenau Gwent- Case Study 6 (2024)

Blaenau Gwent- Case Study 7 (2024)

Blaenau Gwent CCG Legacy Fund: Early Intervention Family Support Case Study 1 (2020)

Blaenau Gwent CCG Legacy Fund: Early Intervention Family Support Case Study 2 (2020)

Blaenau Gwent- CCG Case Study 1 (2024)

Blaenau Gwent- CCG Case Study 2 (2024)

Blaenau Gwent- CCG Case Study 3 (2024)

Blaenau Gwent- CCG Case Study 4 (2024)

Blaenau Gwent- CCG Case Study 5 (2024)


Bridgend- CCG Case Study 1 (2024)

Bridgend- CCG Case Study 2(2024)

Bridgend- CCG Case Study 2.1 (2024)

Bridgend- CCG Case Study 3 (2024)

Bridgend- CCG Case Study 3.1 (2024)

Bridgend- CCG Case Study 4 (2024)

Bridgend- CCG Case Study 4.1 (2024)

Bridgend- CCG Case Study 5 (2024)

Bridgend- CCG Case Study 5.1 (2024)

Bridgend- CCG Case Study 6 (2024)

Bridgend- CCG Case Study 6.1 (2024)

Bridgend- CCG Case Study 7 (2024)

Bridgend- CCG Case Study 7.1 (2024)

Bridgend- CCG Case Study 8 (2024)

Bridgend- CCG Case Study 8.1 (2024)

Bridgend- CCG Case Study 9 (2024)

Bridgend- CCG Case Study 9.1 (2024)

Bridgend- CCG Case Study 10 (2024)

Bridgend- CCG Case Study 10.1 (2024)


Cardiff- Case Studies (2024)


Carmarthenshire- Case Study Video (2024)

Activity packs gifted to Flying Start families (2021)


Ceredigion- LA Case Study PPE (2024)

Ceredigion- LA Case Study 1 PPE (2024)

Ceredigion- LA Case Study 2 PPE (2024)

Ceredigion: “Worried about Your Teenager?” Targeted Parent Support 2020 (2020)


Family Centres provide support for families in their local communities – the right help at the right time. Through the Covid-19 period, we have found innovative solutions by working in partnership with others. We worked with Conwy Castle to open up for individual families of children with additional needs to have an experience they wouldn’t normally be able to access, and with closed schools during lockdown to use their playgrounds for families without access to outdoor space. We are working with food banks and the Wellbeing Team to distribute slow cookers, ingredients and recipes to families. We are developing a clothes swap project with local charities and community groups, which has both financial and environmental benefits. We are also delivering webinars and bitesize video clips with expert partners. For more information about our services, visit FamilyLife

Conwy- Case Study English (2024)

• Inserted here: records of crystals:
┌──
Computed powder diffraction line list of K2PuS3 for Cu Kα X-rays, from a crystal structure in OQMD, relaxed with GGA-PBE.
No peak broadening, texture or thermal motion is included.

Structure:
Unit cell a=7.476 b=7.476 c=7.306 alpha=90.00 beta=90.00 gamma=68.51
Fractional positions:
K  0.004  0.329  0.250
K  0.329  0.004  0.750
K  0.671  0.996  0.250
K  0.996  0.671  0.750
Pu  0.412  0.588  0.250
Pu  0.588  0.412  0.750
S  0.117  0.883  0.250
S  0.357  0.357  0.000
S  0.357  0.357  0.500
S  0.643  0.643  0.000
S  0.643  0.643  0.500
S  0.883  0.117  0.750

Peak list (10 most intense, 2θ from 10° to 90°, by intensity)
| 2θ/deg | I_rel |
| --- | --- |
| 12.73 | 100 |
| 24.39 | 62 |
| 14.33 | 45 |
| 27.01 | 45 |
| 28.40 | 40 |
| 34.50 | 39 |
| 35.02 | 32 |
| 17.60 | 31 |
| 38.16 | 23 |
| 40.83 | 23 |

Computed powder diffraction line list of K2PuSeS2 for Cu Kα X-rays, from a crystal structure in OQMD, relaxed with GGA-PBE.
No peak broadening, texture or thermal motion is included.

Structure:
Unit cell a=6.015 b=7.357 c=9.087 alpha=107.99 beta=90.06 gamma=114.06
Fractional positions:
K  0.011  0.034  0.272
K  0.338  0.674  0.419
K  0.662  0.326  0.581
K  0.989  0.966  0.728
Pu  0.333  0.654  0.920
Pu  0.667  0.346  0.080
Se  0.498  0.007  0.200
Se  0.502  0.993  0.800
S  0.191  0.366  0.062
S  0.193  0.389  0.641
S  0.807  0.611  0.359
S  0.809  0.634  0.938

Peak list (10 most intense, 2θ from 10° to 90°, by intensity)
| 2θ/deg | I_rel |
| --- | --- |
| 10.35 | 100 |
| 28.90 | 95 |
| 41.92 | 67 |
| 18.03 | 59 |
| 29.70 | 52 |
| 16.32 | 40 |
| 24.55 | 27 |
| 37.74 | 26 |
| 50.34 | 23 |
| 25.82 | 19 |

Computed powder diffraction line list of K4PuSiSe6 for Cu Kα X-rays, from a crystal structure in OQMD, relaxed with GGA-PBE.
No peak broadening, texture or thermal motion is included.

Structure:
Unit cell a=7.033 b=7.767 c=8.869 alpha=75.23 beta=71.89 gamma=67.09
Fractional positions:
K  0.000  0.000  0.000
K  0.204  0.408  0.223
K  0.456  0.751  0.408
K  0.764  0.675  0.783
Pu  0.473  0.264  0.779
Si  0.751  0.143  0.415
Se  0.259  0.621  0.827
Se  0.400  0.153  0.541
Se  0.483  0.000  0.036
Se  0.743  0.370  0.198
Se  0.871  0.235  0.596
Se  0.939  0.837  0.389

Peak list (10 most intense, 2θ from 10° to 90°, by intensity)
| 2θ/deg | I_rel |
| --- | --- |
| 15.39 | 100 |
| 12.52 | 92 |
| 25.47 | 74 |
| 26.45 | 66 |
| 15.50 | 63 |
| 25.83 | 61 |
| 10.62 | 52 |
| 21.60 | 51 |
| 32.05 | 49 |
| 14.07 | 49 |

Computed powder diffraction line list of K2Rb2Re6S13 for Cu Kα X-rays, from a crystal structure in OQMD, relaxed with GGA-PBE.
No peak broadening, texture or thermal motion is included.

Structure:
Unit cell a=9.637 b=9.637 c=13.751 alpha=95.33 beta=95.33 gamma=118.19
Fractional positions:
K  0.187  0.229  0.296
K  0.229  0.187  0.796
K  0.771  0.813  0.204
K  0.813  0.771  0.704
Rb  0.166  0.406  0.589
Rb  0.406  0.166  0.089
Rb  0.594  0.834  0.911
Rb  0.834  0.594  0.411
Re  0.061  0.657  0.110
Re  0.081  0.656  0.921
Re  0.197  0.509  0.023
└──

Conwy- Case Study 1 English (2024)

Conwy- Case Study 2 English (2024)

Conwy- CCG Case Study 1 (2024)

Conwy- CCG Case Study 1.1 (2024)

Conwy- CCG Case Study 2 (2024)

Conwy- CCG Case Study 2.1 (2024)

Conwy- CCG Case Study 3 (2024)

Conwy- CCG Case Study 3.1 (2024)


Denbighshire- CCG Case Study 1 (2024)

Denbighshire- CCG Case Study 2 (2024)

Denbighshire- CCG Case Study 3 (2024)

Integrated Families First and Flying Start Programmes in Denbighshire (2021-2022)


Gwynedd-CCG-Case-Study (2024)


Flintshire-LA-Case-Study-Childcare-and-Play-1 (2024)

Isle of Angelsey

Isle-of-Anglesey-County-Council-CCG-Case-Studies-Claim-3-2023-24 (2023-2024)


Monmouthshire- Case Study 1 (2024)

Monmouthshire- Case Study 2 (2024)

Monmouthshire- Case Study 3 (2024)

Monmouthshire- Case Study 4 (2024)

Monmouthshire- Case Study 5 (2024)

Monmouthshire- Case Study 6 (2024)

Monmouthshire- Case Study 7 (2024)

Monmouthshire- Case Study 8 (2024)

Monmouthshire- Case Study 9 (2024)

Monmouthshire- Case Study 10 (2024)

Monmouthshire- Case Study 11 (2024)

Monmouthshire- Case Study 12 (2024)

Monmouthshire-CCG-Case-Study-1 (2024)

Monmouthshire-CCG-Case-Study-2 (2024)

Integrating Families and Community Together InFaCT Project – Monmouthshire Case Vignette (2023)


Newport- Case Study 1 (2024)

Newport- Case Study: Families First (Sparkle) (2024)

Newport- Case Study: Families First (Preventions) (2024)

Newport- Case Study: Families First (Youth) (2024)

Newport- Case Study: Families First- Play Summer Holidays 2024 (2024)

Newport- Case Study: Promoting Positive Engagement For Young People (2024)

Newport- Case Study: Promoting Positive Engagement For Young People 2 (2024)

Newport- CCG Case Study 1 (2024)

Newport- CCG Case Study 2 (2024)

Newport- CCG Case Study 3 (2024)

Newport Youth Academy: Young person progresses into employment (2021)

Families First Support (2021)


Powys-CCG-Monitoring-3-Revised (2024)

Powys- Home Start Case Study (2024)


RCT- Flying Start Case Study (2024)

RCT- CAB Case Study (2024)

RCT- Counselling Service Case Study: Resilient Families Service(2024)

RCT- Case Study 1 (2024)

RCT- CCG Case Study (2024)

RCT- CCG Case Study 2 (2024)


Swansea- Flying Start Childcare and Speech and Language Impact Case Study (2024)


Torafen- PPE Case Study 1 (2024)

Torafen- PPE Case Study 2 (2024)

Torafen- PPE Case Study 3 (2024)

Torafen- PPE Case Study 4 (2024)

Torafen- PPE Case Study 5 (2024)

Torafen- PPE Case Study 6 (2024)

Torafen- PPE Case Study 7 (2024)

Torafen- PPE Case Study 8 (2024)

Torafen- PPE Case Study 9 (2024)

Torafen- PPE Case Study 10 (2024)

Torafen- PPE Case Study 11 (2024)

Torfaen Case Study 3 (2024)

Torfaen Case Study (2024)

Torfaen CCG Case Study 2 (2024)

Torfaen CCG Case Study 4 (2024)

Torfaen CCG Case Study 5 (2024)

Torfaen CCG Case Study 6 (2024)

Torfaen CCG Case Study 7 (2024)

Torfaen CCG Case Study 9 (2024)

Torfaen CCG Case Study 10 (2024)


Wrexham CCG Monitoring (2022)

Wrexham- Nest Case Study (2024)

Wrexham CCG Monitoring Family Centres (2023-2024)

Llyndir Project and Participant gaining employment (2022)

Case Studies

ELD Case Study (2024)

FF CAS Studies (2024)

Midwife Case Study (2024)

MWSW Case Study (2024)

SLT Case Study (2024)

The Early Years Pathfinder Study (2024)

Families First Youth Support Case Study (2023)

Barnardos Family Life Skills Service Case Study (2023)

Client Case Study- Jo (2022)

Client Case Study- Gloria (2022)

Client Case Study- Judy (2022)

Communities for Work Plus Case Study- Community Employment Mentor Lucy Sparkes (2021)

Communities for Work Plus- Case Study (2021)


People LWR Project (2024)

Summer Buddy Scheme Report (2024)

NEST in Action (2023)

Astudiaeth-Achos-Adroddiad-ar-Ddiwedd-Ymyrraeth (2021)

Flying Start App Launched to Connect with Families (2021)